Step 76 - Florescent Lights

Florescent Light

[Someone pasted crystal structures at this point]
-- begin --
# Ce2CuBiS5 (PBE, optimized geometry)
# energy of formation from the pure elements: -1.53 eV per atom
# calculated volume: 202.7 Å³/f.u.
data_Ce2CuBiS5
_chemical_formula_sum 'Ce8 Cu4 Bi4 S20'
_symmetry_space_group_name_H-M 'P n m a'
_symmetry_Int_Tables_number 62
_cell_length_a 12.019
_cell_length_b 3.957
_cell_length_c 17.045
_cell_angle_alpha 90.00
_cell_angle_beta 90.00
_cell_angle_gamma 90.00
loop_
_symmetry_equiv_pos_as_xyz
'x,y,z'
'-x,-y,-z'
'-x+1/2,-y,z+1/2'
'x+1/2,y,-z+1/2'
'x+1/2,-y+1/2,-z+1/2'
'-x+1/2,y+1/2,z+1/2'
'-x,y+1/2,-z'
'x,-y+1/2,z'
loop_
_atom_site_label
_atom_site_fract_x
_atom_site_fract_y
_atom_site_fract_z
Ce1 0.038 0.250 0.176
Ce2 0.124 0.750 0.599
Cu1 0.096 0.750 0.997
Bi1 0.199 0.750 0.363
S1 0.012 0.250 0.702
S2 0.082 0.250 0.923
S3 0.105 0.250 0.471
S4 0.194 0.750 0.111
S5 0.235 0.750 0.764

# NaSrCeBiO6 (PBE, optimized geometry)
# energy of formation from the pure elements: -2.53 eV per atom
# calculated volume: 161.0 Å³/f.u.
# polymorph energy (0 for the lowest one): 59 meV per atom
data_NaSrCeBiO6
_chemical_formula_sum 'Na4 Sr4 Ce4 Bi4 O24'
_symmetry_space_group_name_H-M 'F -4 3 m'
_symmetry_Int_Tables_number 216
_symmetry_space_group_name_Hall 'F -4 2 3'
_cell_length_a 8.635
_cell_length_b 8.635
_cell_length_c 8.635
_cell_angle_alpha 90.00
_cell_angle_beta 90.00
_cell_angle_gamma 90.00
loop_
_atom_site_label
_atom_site_fract_x
_atom_site_fract_y
_atom_site_fract_z
Na1 0.000 0.000 0.000
Sr1 0.000 0.000 0.500
Ce1 0.250 0.250 0.250
Bi1 0.250 0.250 0.750
O1 0.005 0.250 0.750

# NaSrCeBiO6 (PBE, optimized geometry)
# energy of formation from the pure elements: -2.59 eV per atom
# calculated volume: 155.0 Å³/f.u.
# polymorph energy (0 for the lowest one): 0 meV per atom
data_NaSrCeBiO6
_chemical_formula_sum 'Na4 Sr4 Ce4 Bi4 O24'
_symmetry_space_group_name_H-M 'P n n n'
_symmetry_Int_Tables_number 48
_cell_length_a 8.516
_cell_length_b 8.532
_cell_length_c 8.534
_cell_angle_alpha 90.00
_cell_angle_beta 90.00
_cell_angle_gamma 90.00
loop_
_symmetry_equiv_pos_as_xyz
'x,y,z'
'-x,-y,-z'
'-x+1/2,-y+1/2,z'
'x+1/2,y+1/2,-z'
'x,-y+1/2,-z+1/2'
'-x,y+1/2,z+1/2'
'-x+1/2,y,-z+1/2'
'x+1/2,-y,z+1/2'
loop_
_atom_site_label
_atom_site_fract_x
_atom_site_fract_y
_atom_site_fract_z
Na1 0.250 0.250 0.250
Na2 0.250 0.750 0.750
Sr1 0.250 0.250 0.750
Sr2 0.250 0.750 0.250
Ce1 0.000 0.000 0.000
Bi1 0.000 0.000 0.500
O1 0.035 0.044 0.745
O2 0.043 0.245 0.466
O3 0.245 0.546 0.031
-- stop --

Save The Energy Go Florescent

In utility areas, the upstairs hallways, stair well and closets, we have a mix of canned lights and florescent tube fixtures.  Canned lights are a very popular option for a variety of reasons.  They offer light without the exposed lamp and shade of a traditional fixture,  can focus light on specific areas, or be dimmed to create an ambiance in the room as desired.  


The larger tube florescent fixtures are excellent options for areas that require a lot of light, but don't need fancy or expensive fixtures in plain sight.  The closets of our home each receive a 24 florescent tube fixture, adding plenty of usable light.   The garage receives a large 4-tube 48� fixture that will lighten up even the darkest of work spaces.  Florescent has one other advantage over incandescent lighting in utility areas,  it is nearly “shadow less” and offers a uniform and even light that is great for seeing your clothing or the project you are working on.

Things We Learned Along The Way

Why You Should Always Use Compact Florescent Bulbs In Your Home

And then, came the light� and from different sources, too! Initially, there was the incandescent light blub that took the world by storm after its discovery somewhere during the early 1800s. The benefits derived from this significant discovery were felt by everyone back then.

As time progressed, man, being hungry for progress, was not satisfied. Further studies were conducted on how to upgrade the incandescent light bulb. Not long after the first attempts were made, success was achieved. By the late 1800s, the fluorescent lamp made its public appearance. Since then, the fluorescent lamp has been further tweaked to become the compact fluorescent bulb or compact fluorescent lamp (CFL).

# Inserted here: calculated crystals
........
Entry from the Materials Project: a relaxed structure of Na3LaHfSiP2O12 (PBE).

a = 16.2902 Å, b = 9.4618 Å, c = 9.3875 Å
α = 90.00°, β = 125.41°, γ = 90.00°
Sites, in units of the cell vectors:
O  0.0398  0.6758  0.0600
O  0.2619  0.8840  0.7453
O  0.6526  0.8124  0.8998
O  0.4333  0.4361  0.0952
O  0.9333  0.0639  0.5952
O  0.9509  0.6261  0.4172
O  0.9091  0.8650  0.7535
O  0.9509  0.3739  0.9172
O  0.8573  0.5921  0.7447
O  0.0398  0.3242  0.5600
O  0.5589  0.6434  0.2390
O  0.8520  0.6284  0.0849
O  0.5530  0.4634  0.4252
O  0.1526  0.3124  0.8998
O  0.0589  0.8566  0.7390
O  0.7619  0.6160  0.2453
O  0.7457  0.1970  0.2520
O  0.8520  0.3716  0.5849
O  0.9091  0.1350  0.2535
O  0.4091  0.6350  0.2535
O  0.2457  0.3030  0.7520
O  0.5398  0.8242  0.5600
O  0.3573  0.0921  0.7447
O  0.0589  0.1434  0.2390
O  0.5398  0.1758  0.0600
O  0.1578  0.5513  0.7597
O  0.8573  0.4079  0.2447
O  0.4509  0.8739  0.9172
O  0.6578  0.0513  0.7597
O  0.2457  0.6970  0.2520
O  0.0530  0.9634  0.4252
O  0.1578  0.4487  0.2597
O  0.3573  0.9079  0.2447
O  0.2619  0.1160  0.2453
O  0.1526  0.6876  0.3998
O  0.9333  0.9361  0.0952
O  0.4509  0.1261  0.4172
O  0.5589  0.3566  0.7390
O  0.6526  0.1876  0.3998
O  0.3520  0.1284  0.0849
O  0.4091  0.3650  0.7535
O  0.7619  0.3840  0.7453
O  0.4333  0.5639  0.5952
O  0.7457  0.8030  0.7520
O  0.3520  0.8716  0.5849
O  0.5530  0.5366  0.9252
O  0.0530  0.0366  0.9252
O  0.6578  0.9487  0.2597
Si  0.1503  0.6204  0.2395
Si  0.1503  0.3796  0.7395
Si  0.6503  0.1204  0.2395
Si  0.6503  0.8796  0.7395
Na  0.7558  0.2160  0.0110
Na  0.2558  0.2840  0.5110
Na  0.6842  0.4258  0.3045
Na  0.7558  0.7840  0.5110
Na  0.6842  0.5742  0.8045
Na  0.1842  0.9258  0.3045
Na  0.5091  0.0872  0.7577
Na  0.5091  0.9128  0.2577
Na  0.2558  0.7160  0.0110
Na  0.1842  0.0742  0.8045
Na  0.0091  0.4128  0.2577
Na  0.0091  0.5872  0.7577
La  0.6077  0.7551  0.0682
La  0.1077  0.7449  0.5682
La  0.6077  0.2449  0.5682
La  0.1077  0.2551  0.0682
P  0.9887  0.9564  0.7535
P  0.3540  0.0744  0.2482
P  0.9887  0.0436  0.2535
P  0.3540  0.9256  0.7482
P  0.4887  0.5436  0.2535
P  0.4887  0.4564  0.7535
P  0.8540  0.4256  0.7482
P  0.8540  0.5744  0.2482
Hf  0.3977  0.7410  0.4409
Hf  0.8977  0.7590  0.9409
Hf  0.3977  0.2590  0.9409
Hf  0.8977  0.2410  0.4409

Properties
* ΔH_f (0 K): -3073.9 meV per atom
* VASP energy: -590.89 eV per cell

~~~~~

# 1
Material: Y3Al3V2O12
Method: DFT, GGA+U
State: optimized geometry

Cell lengths 10.6807, 10.6807, 10.6807 Å; angles 109.47, 109.47, 109.47 degrees
Positions (direct):
O 0.7093 0.6856 0.0864
O 0.7093 0.5237 0.6229
O 0.4008 0.8144 0.5237
O 0.9008 0.3771 0.5864
O 0.6856 0.0992 0.9763
O 0.0992 0.6229 0.4136
O 0.1229 0.5992 0.9136
O 0.2093 0.5864 0.1856
O 0.0864 0.8771 0.4008
O 0.9008 0.0237 0.3144
O 0.5864 0.1856 0.2093
O 0.7907 0.8771 0.9763
O 0.5864 0.9008 0.3771
O 0.4763 0.5992 0.1856
O 0.1856 0.2093 0.5864
O 0.8144 0.5237 0.4008
O 0.5237 0.6229 0.7093
O 0.9763 0.7907 0.8771
O 0.1229 0.0237 0.2093
........

With the presence of the incandescent light bulb and fluorescent lamp or CFL in the market, people have always had the choice of which product to use. This was true then, and is still true now. There are some who choose to use the former because of its low price. In addition, aesthetically, they feel that the kind of light it produces is more appropriate in their household. There are some who like the latter better because of the brighter illumination it produces. They like to see every nook and crevice in the household. These same people feel that in the end, fluorescent lamps or CFLs are cheaper.

There used to be a time when picking out an incandescent light bulb or a CFL in a grocery or hardware store was simply a matter of course. No one put much weight into it until now. Because of the constant see-sawing economy and the condition of the environment that is deteriorating by the second, every act has to be analyzed microscopically for the value, or non-value, that it eventually yields, including the use of the right kind bulb.

For the people opting for the use of the incandescent light bulbs, their reasoning cannot be faulted because it simply responds to the status that they have economically. But perhaps, better light needs to be shed on why you should always use compact florescent bulbs in your home so that a more informed choice can be made by everyone later on.

It was earlier said that a lot of homeowners believe using CFL is cheaper in the long run. There is cause to believe that. The mechanism used to produce light in an incandescent light bulb necessitates heat to be produced. Hence, in a room where incandescent light bulb is used, it can be noticed that the temperature is warmer, and thus, might require a stronger cooling system.

That is perhaps where the most obvious difference between incandescent light bulb and CFL lies. Since the way by which light is produced in a CFL does not involve producing heat, the warmth that goes with an incandescent light bulb is noticeably absent with CFL. This negates the need for a stronger cooling system. Significant impact on the electric consumption can be noticed comparing two households with each solely using one type.

There is a difference too between the life span of an incandescent light bulb and a CFL. Incandescent light bulbs can provide light for a maximum of a thousand hours, while CFLs are made to last for a maximum of 15,000 hours. That being said, a household saves 14 purchases of incandescent light bulb, add to that the fact that CFLs consume lesser wattage. Those are added savings.

Skeptics could always question the advice on the use compact florescent bulbs in your home, reasoning that CFLs may be dangerous, not only to the environment, but the population's health as well because of the mercury present in it. This may be true. However, measures have already been taken to address this issue. Manufacturers have limited the amount of mercury content per bulb. Proper disposal, and even recycling, of used CFLs have been set and is being strictly monitored. The major concerns that might hinder anyone to use CFLs are being, if not already, answered. It is now up to the consumers to decide whether or not to heed the advice. I highly recommend their use, but you need to make that educated decision for you and your family.


The Land






Framing Phase

Rough-in Phase

Drywall Phase

Interior Carpentry

Flat-work Phase

## Attached: records of crystals
[1]
LiTb3 (PBE-GGA, optimized geometry); size of the total moment = 0.001 μB per atom; uncorrected energy = -3.77 eV/atom; space group = I4/mmm; ΔE to the lowest computed polymorph = 0 meV/atom
1.0
-2.449 2.449 4.840
2.449 -2.449 4.840
2.449 2.449 -4.840
Tb Li
3 1
Cartesian
2.449 0.000 2.420
0.000 2.449 2.420
0.000 0.000 4.840
0.000 0.000 0.000

---

[2]
MgZn (PBE-GGA, optimized geometry); uncorrected energy = -1.50 eV/atom; space group = P4/mmm
1.0
3.056 0.000 0.000
0.000 3.056 0.000
0.000 0.000 3.833
Mg Zn
1 1
Cartesian
0.000 0.000 0.000
1.528 1.528 1.916

---

[3]
WS4N2 (PBE-GGA, optimized geometry); size of the total moment = 0.161 μB per atom; uncorrected energy = -5.01 eV/atom; space group = Pnma
1.0
-4.051 0.675 6.157
3.534 -8.758 3.286
9.887 6.176 5.827
S N W
16 8 4
Cartesian
0.097 1.543 8.707
5.772 -4.172 6.479
1.395 -7.311 8.392
2.046 1.218 5.744
0.909 -1.727 3.011
9.691 2.294 6.208
6.841 -0.787 6.811
7.742 2.619 9.170
7.324 -3.124 9.526
9.273 -3.449 6.563
2.529 -1.119 8.459
8.461 -0.179 12.259
1.629 -4.525 6.100
-0.320 -4.200 9.062
3.598 2.266 8.791
7.975 5.405 6.878
3.798 -4.410 9.655
-0.776 -1.785 6.357
5.572 2.504 5.615
5.291 -0.183 10.173
3.875 -7.333 5.578
10.146 -0.121 8.913
4.080 -1.723 5.097
5.495 5.427 9.692
9.037 3.699 7.764
7.306 -2.865 7.345
0.333 -5.605 7.506
2.064 0.959 7.925

* * * * *

# 1
Computed, not measured: crystalline LiSbTe3O12 at its relaxed geometry at the PBE level of DFT.

Values from the calculation:
distance to the lowest polymorph of the same formula	28.3	meV/atom
calculated total energy	-92.796	eV/cell

Lattice parameters (Å, degrees): 5.118 5.350 7.409 86.70 90.00 89.97
Fractional coordinates of all 17 atoms:
Li 0.000 0.000 0.000
Sb 0.997 0.566 0.778
Te 0.497 0.070 0.778
Te 0.500 0.067 0.287
Te 0.999 0.562 0.287
O 0.132 0.567 0.527
O 0.187 0.251 0.850
O 0.188 0.880 0.219
O 0.305 0.772 0.853
O 0.307 0.372 0.214
O 0.365 0.064 0.531
O 0.628 0.074 0.036
O 0.670 0.385 0.721
O 0.687 0.755 0.353
O 0.814 0.249 0.349
O 0.819 0.898 0.735
O 0.879 0.586 0.040

=====

# 2
Computed, not measured: crystalline LiSbTe3O12 at its relaxed geometry at the PBE level of DFT.

Values from the calculation:
distance to the lowest polymorph of the same formula	0.0	meV/atom
calculated total energy	-93.276	eV/cell

Lattice parameters (Å, degrees): 4.952 8.503 5.254 90.00 90.47 90.00
Fractional coordinates of all 17 atoms:
Li 0.000 0.000 0.000
Sb 0.500 0.100 0.500
Te 0.000 0.597 0.000
Te 0.000 0.782 0.500
Te 0.500 0.286 0.000
O 0.204 0.772 0.822
O 0.207 0.616 0.318
O 0.238 0.940 0.357
O 0.253 0.447 0.861
O 0.284 0.121 0.822
O 0.290 0.268 0.305
O 0.710 0.268 0.695
O 0.716 0.121 0.178
O 0.747 0.447 0.139
O 0.762 0.940 0.643
O 0.793 0.616 0.682
O 0.796 0.772 0.178

=====

# 3
Computed, not measured: crystalline LiSbTe3O12 at its relaxed geometry at the PBE level of DFT.

Values from the calculation:
distance to the lowest polymorph of the same formula	28.6	meV/atom
calculated total energy	-92.790	eV/cell

Paint & Stain

Finishing Phase
